-- Wanted --
Set down the data underneath from the line with "_cell_angle_gamma 90.00" to the end without altering anything.

-- Excerpt --
┌──
Version P
# Ta2SbN (PBE, relaxed)
# Crystal system: tetragonal
data_Ta2SbN
_symmetry_space_group_name_H-M 'P 1'
_symmetry_Int_Tables_number 1
_cell_length_a 5.2577
_cell_length_b 5.2577
_cell_length_c 6.9128
_cell_angle_alpha 67.65
_cell_angle_beta 67.65
_cell_angle_gamma 90.00
loop_
_symmetry_equiv_pos_as_xyz
'x,y,z'
loop_
_atom_site_label
_atom_site_type_symbol
_atom_site_fract_x
_atom_site_fract_y
_atom_site_fract_z
_atom_site_occupancy
Ta1 Ta 0.2622 0.6250 0.2500 1
Sb1 Sb 0.0000 0.0000 0.0000 1
Ta2 Ta 0.3750 0.5122 0.7500 1
N1 N 0.2500 0.7500 0.5000 1
N2 N 0.5000 0.5000 0.0000 1
Ta3 Ta 0.4878 0.1250 0.2500 1
Sb2 Sb 0.7500 0.2500 0.5000 1
Ta4 Ta 0.8750 0.7378 0.7500 1


Version Q
# Ta2SbN (PBE, relaxed)
# Crystal system: cubic
data_Ta2SbN
_symmetry_space_group_name_H-M 'P 1'
_symmetry_Int_Tables_number 1
_cell_length_a 4.4941
_cell_length_b 4.4941
_cell_length_c 4.4941
_cell_angle_alpha 60.00
_cell_angle_beta 60.00
_cell_angle_gamma 60.00
loop_
_symmetry_equiv_pos_as_xyz
'x,y,z'
loop_
_atom_site_label
_atom_site_type_symbol
_atom_site_fract_x
_atom_site_fract_y
_atom_site_fract_z
_atom_site_occupancy
N1 N 0.0000 0.0000 0.0000 1
Sb1 Sb 0.5000 0.5000 0.5000 1
Ta1 Ta 0.2500 0.2500 0.2500 1
Ta2 Ta 0.7500 0.7500 0.7500 1


Structures ranked by computed energy, the most stable listed first: version P, version Q.
└──

-- Solution --
_cell_angle_gamma 90.00
loop_
_symmetry_equiv_pos_as_xyz
'x,y,z'
loop_
_atom_site_label
_atom_site_type_symbol
_atom_site_fract_x
_atom_site_fract_y
_atom_site_fract_z
_atom_site_occupancy
Ta1 Ta 0.2622 0.6250 0.2500 1
Sb1 Sb 0.0000 0.0000 0.0000 1
Ta2 Ta 0.3750 0.5122 0.7500 1
N1 N 0.2500 0.7500 0.5000 1
N2 N 0.5000 0.5000 0.0000 1
Ta3 Ta 0.4878 0.1250 0.2500 1
Sb2 Sb 0.7500 0.2500 0.5000 1
Ta4 Ta 0.8750 0.7378 0.7500 1


Version Q
# Ta2SbN (PBE, relaxed)
# Crystal system: cubic
data_Ta2SbN
_symmetry_space_group_name_H-M 'P 1'
_symmetry_Int_Tables_number 1
_cell_length_a 4.4941
_cell_length_b 4.4941
_cell_length_c 4.4941
_cell_angle_alpha 60.00
_cell_angle_beta 60.00
_cell_angle_gamma 60.00
loop_
_symmetry_equiv_pos_as_xyz
'x,y,z'
loop_
_atom_site_label
_atom_site_type_symbol
_atom_site_fract_x
_atom_site_fract_y
_atom_site_fract_z
_atom_site_occupancy
N1 N 0.0000 0.0000 0.0000 1
Sb1 Sb 0.5000 0.5000 0.5000 1
Ta1 Ta 0.2500 0.2500 0.2500 1
Ta2 Ta 0.7500 0.7500 0.7500 1


Structures ranked by computed energy, the most stable listed first: version P, version Q.